"Lin, I want a divorce. Divorce this woman. Six million euros a year. Tell her I can pay her alimony in advance for the next 10 years! 60 million euros. I can pay her 60 million euros in alimony in a lump sum. " Berlusconi said with red eyes.

Lin Feng is speechless. This is another man who is completely fascinated by women. But Lin Feng is strange. Berlusconi should be a veteran in love. How could he be captured by Francesca so easily. It's strange. As far as Lin Feng is concerned, Berlusconi should, as Xu Zhimo said, wave his sleeve and not take away a cloud.

As a result, the last woman was captured by a woman. This is incredible. This Berlusconi, sooner or later, will fall into the hands of women.

"Lin, help me! If you help me, I will certainly appreciate you and repay you. " Berlusconi's eyes are bloodshot. Obviously, the emotion is overdone. If this is to be seen by outsiders, I'm afraid no one will think that he is the Prime Minister of Italy. If you are in China, those old scholars will surely think that this person is not worthy of being the head of a country. It's too unfounded. How can you be so impolite for a daughter.

Lin Feng shook his head helplessly.

"Prime Minister Berlusconi, the problem now is that the initiative is in the hands of your wife, Veronica." Lin Feng said.

"What! The initiative is in her hands! Why! Now I'd rather she went out and said that I was unfaithful to her, and I want a divorce. I don't care about reputation. What I ask for is less alimony. It can't be 65 million euros a year. That's the lion's big mouth! " Berlusco, gnashing his teeth.

Lin Feng is speechless. This guy is really desperate for love. It's going to be at home. It's definitely impossible. How can a head of state make such a scandal.

But it's in Italy, and Italy is full of promiscuity and debauchery. When the prime minister makes such a scandal, the people will not care too much about it. This is not the same as in the United States. In the United States, it doesn't matter if there is any relationship between men and women before marriage, and the public can accept it. But after marriage, if either side of the couple is unfaithful, they will be accused. That's why Clinton almost fell.

Of course, even if Italy opens up again, it will be hard to say if Veronica makes all the evidence in his hands public. I'm afraid Berlusconi's public opinion support will fall to the freezing point in an instant, and he may even be asked to resign.

"Berlusconi, you love to talk in your sleep, you know!" Asked Lin Feng.

Berlusconi nodded. This is a habit he developed after he came to power. He likes to sleep with the phone every day. He can't sleep without holding the phone. Holding the phone, he often talks in his sleep. He once went to see a psychiatrist, but he didn't think it was a bad thing for his eccentricity.

As the prime minister, Berlusconi has a lot of opportunities and pressure. It is a way to vent his pressure by talking in his sleep. So Berlusconi didn't care. But later, no matter what, he will go home to sleep. After all, it's not a good thing to be heard in a dream.

"Lin, even if Veronica hears a secret, it's a state secret. She can't threaten me with it. On the contrary, if she wants to use it to threaten me, it's against the law. I can punish her by law. " Berlusconi said in a cold voice.

When Lin Zhiling listened in, she felt cold and angry. This Berlusconi is also too cold-blooded and heartless. No matter how to say, winonica and his wife have been married for more than ten years, and there are still three children left. How can we say that we can turn our faces around, and we are still so heartless. It's a politician, cold-blooded and merciless.

Fortunately, Lin Feng is not a politician, just a businessman. And he is a very enthusiastic and nationalist businessman. It's good for the family.

"Berlusconi, if Veronica has Italian state secrets in his hands, I will not come to persuade you. The reason why I advise you is that winonica has a list of all the women you've been searching outside for over a decade, as well as the price. What do you think would happen if she made it public? " Asked Lin Feng.

Berlusconi was stunned. what! Winonica actually recorded the list of his search for flowers and willows in the past ten years, as well as the price, fuck! If this is announced, he will become Italy's most notorious prime minister in the world. And in this court case, he will be at an absolute disadvantage. The judge will definitely favor winonica. And his original excuse for divorce for love will be gone.

For love? In the past ten years, you have been searching for so many women. Do you still deserve to talk about love? Berlusconi thinks he deserves it, but the judge certainly doesn't think so.

"Lin, does she really have this list in her hands?" Berlusconi's bewilderment after his astonishment.

• Someone pasted records of crystals at this point:
____________
Below is GaSe after structural relaxation, with properties calculated at the PBE level.

Results
- corrected total energy (MP2020 scheme) (eV per cell) = -32.7

Cell: 3.8176 3.8176 17.7505 Å, 90.00 90.00 120.00°
Space group P6_3/mmc (No. 194)
Symmetry-distinct sites (fractional):
1 Ga 0.3333 0.6667 0.1804
2 Se 0.3333 0.6667 0.6143

Below is SmYS2 after structural relaxation, with properties calculated at the PBE level.

Results
- corrected total energy (MP2020 scheme) (eV per cell) = -85.5

Cell: 3.9311 3.9311 19.7315 Å, 90.00 90.00 120.00°
Space group R-3m (No. 166, hexagonal axes)
Symmetry-distinct sites (fractional):
1 Sm 0.0000 0.0000 0.0000
2 Y 0.0000 0.0000 0.5000
3 S 0.0000 0.0000 0.2465

Below is C2S3 after structural relaxation, with properties calculated at the PBE level.

Results
- corrected total energy (MP2020 scheme) (eV per cell) = -247.6

Cell: 8.478 10.670 10.473 Å, 90.00 108.43 90.00°
Space group P2_1/c (No. 14)
Symmetry-distinct sites (fractional):
1 C 0.119 0.078 0.341
2 C 0.218 0.511 0.933
3 C 0.280 0.018 0.568
4 C 0.374 0.712 0.045
5 S 0.033 0.063 0.175
6 S 0.091 0.214 0.425
7 S 0.233 0.163 0.620
8 S 0.263 0.659 0.885
9 S 0.396 0.598 0.172
10 S 0.451 0.646 0.574

Below is KCeNb2O6 after structural relaxation, with properties calculated at the PBE level.

Results
- corrected total energy (MP2020 scheme) (eV per cell) = -347.3

Cell: 8.103 8.103 8.103 Å, 90.00 90.00 90.00°
Space group Fm-3m (No. 225)
Symmetry-distinct sites (fractional):
1 K 0.000 0.000 0.000
2 Ce 0.000 0.000 0.500
3 Nb 0.250 0.250 0.250
4 O 0.000 0.250 0.250

Below is NdBe13 after structural relaxation, with properties calculated at the PBE level.

Cell: 10.302 10.302 10.302 Å, 90.00 90.00 90.00°
Space group Fm-3c (No. 226)
Symmetry-distinct sites (fractional):
1 Nd 0.250 0.250 0.250
2 Be 0.000 0.000 0.000
3 Be 0.000 0.113 0.176

Below is GdB6 after structural relaxation, with properties calculated at the PBE level.

Cell: 4.110 4.110 4.110 Å, 90.00 90.00 90.00°
Space group Pm-3m (No. 221)
Symmetry-distinct sites (fractional):
1 Gd 0.000 0.000 0.000
2 B 0.199 0.500 0.500

| no. | VASP energy (eV per atom) | E_form (eV/atom) |
| --- | --- | --- |
| 1 | -3.8530 | -0.827 |
| 2 | -6.8725 | -2.259 |
| 3 | -5.8891 | -0.018 |
| 4 | -8.2692 | -2.988 |
| 5 | -3.9750 | -0.162 |
| 6 | -8.1927 | -0.457 |


Entry 1:
Te6RuBr8 | GGA-PBE | optimized geometry

The structure in POSCAR format:
```
Te6RuBr8
1.0
9.833 0.000 0.000
0.000 17.126 0.000
-7.675 0.000 12.958
Te Ru Br
24 4 32
Direct
0.035 0.077 0.138 Te
0.035 0.423 0.638 Te
0.061 0.732 0.677 Te
0.061 0.768 0.177 Te
0.116 0.078 0.751 Te
0.116 0.422 0.251 Te
0.200 0.090 0.028 Te
0.200 0.410 0.528 Te
0.230 0.577 0.571 Te
0.230 0.923 0.071 Te
0.304 0.560 0.849 Te
0.304 0.940 0.349 Te
0.696 0.060 0.651 Te
0.696 0.440 0.151 Te
0.770 0.077 0.929 Te
0.770 0.423 0.429 Te
0.800 0.590 0.472 Te
0.800 0.910 0.972 Te
0.884 0.578 0.749 Te
0.884 0.922 0.249 Te
0.939 0.232 0.823 Te
0.939 0.268 0.323 Te
0.965 0.577 0.362 Te
____________

"Well, she said that you had sex with 1247 women in the past ten years, with a total amount of 7.86 million euros!" Lin Feng said helplessly.

Berlusconi was immediately counselled. He didn't remember so many people and so much money, but winonica remembered all of them, which was enough to show that winonica had this evidence in her hand. Now, he's in big trouble. In case of divorce, the 65 million euro annual extraordinary alimony proposed by Veronica may be considered by the judge as a kind of compensation for his betrayal of Veronica for more than ten years.

He can't accept the amount of compensation. It's too big!

"What should I do?" Asked Berlusconi.

"It's easy. Go back and apologize. Berlusconi, you have to understand that if this evidence is thrown out, you are finished. You will have a bad reputation. I'm afraid you won't be the Prime Minister for long. Do you want to stick to it? " Asked Lin Feng.

Berlusconi has a tangled face. For winonica, he has no love, he is now full of only Francesca, the adoration to the death of the beautiful character girl. A woman who adores you, crazy for you, and extremely beautiful and sexy, no man can resist.

On the contrary, although winonica is still beautiful and sexy, no matter how delicious a dish is, it's been eating for more than ten years. Besides, Veronica and Berlusconi are not compatible in character. Winonica likes quiet, while Berlusconi likes lively, noisy and party.

"Lin, why don't you do it again and steal the evidence for me?" Berlusconi's dizzy proposal.

Lin Feng refused directly. When dealing with ruby, it's because she's insatiable. That's why Lin Feng asked Bernardo. But to deal with winonica, a woman who has been hurt in her marriage, she has to do what she wants to do, which is to help tyranny. They are not as good as animals. Lin Feng won't do it.

Seeing Lin Feng's firm refusal, Berlusconi also knows that his request is a bit excessive. It's just that he's full of Francesca. He doesn't want to make it up with Veronica.

"Interest! Berlusconi, for the good. If you want to divorce winonica now, your assets will be less than half or even more in the next 20 years. Don't forget that if you insist on divorce, winonica can ask the court to divide your property with this evidence. And the jury will be there, and I believe there is no doubt about it. " Lin Feng said, "especially so many women, as long as a small half are willing to testify and have sex with you, you are finished. It's no use asking any lawyer! "

Berlusconi droops his head. Indeed, he could have guessed the scene. At that time, I'm afraid he was really rebellious. It's just that he

"Well, anyway, in the evening, Allegra will have another party. You and I will go and apologize to winonica and promise you wrong. As for what to do between you and that Francesca, you can do it by yourself. In a word, I have done so much for you out of friendship and interest. Italy and Libya must establish diplomatic relations and conduct business activities. " Lin Feng warned coldly.

This Berlusconi is full of shit now. Shakespeare said well, love makes people blind, love makes people stupid. Berlusconi is as stupid as a pig at the moment. He must be decisive.

After all, Berlusconi is also a prime minister and an old fox in politics. Although he fell in love with the river, but in Lin Feng's warning, or even threat, immediately wake up. He knew what was his advantage in attracting so many beautiful women. It's not that he's handsome, not to mention how good his kung fu is in bed. For a 70 year old man, it's good to have sex with a beautiful woman. It's bullshit to say how good he is.

"I see. I'll be there in the evening." When Berlusconi woke up, he immediately returned to his usual wise and fox like Berlusconi, "Mr. Lin, thank you for your help. As long as these three problems are solved, I will definitely promote the establishment of diplomatic relations between Italy and Libya. "

Lin Feng nodded and watched Berlusconi leave.

"Boss, I hate this kind of man. Love the new and hate the old Lin Zhiling said.

Lin Feng shrugs helplessly. To be honest, Lin Feng doesn't like Berlusconi's temperament. Men can be happy with the new, but not tired of the old. After all, the old people used to be new people, and they have been with you for so long. If you get rid of the old people for the sake of the new people, it's a failure. It's filthy! Lin Feng never spoke of such a person.

However, Lin Feng and Berlusconi are more cooperative than friends. Therefore, Lin Feng is not likely to involve too much in Berlusconi's private affairs. This time, if it's not about Libya and his plans for 2008, Lin Feng will not take care of Berlusconi.